• Excerpt:
# 1
DFT (PBE) results for SnHOs2 after structural relaxation.

Unit cell a=4.8062 b=5.4278 c=5.4546 alpha=65.14 beta=75.77 gamma=74.23
Fractional positions:
Sn (0.0000, 0.0000, 0.0000)
Sn (0.4501, 0.2888, 0.5571)
H (0.3784, 0.9000, 0.3526)
H (0.6340, 0.6224, 0.0010)
Os (0.0214, 0.9909, 0.4878)
Os (0.0460, 0.5093, 0.9285)
Os (0.5094, 0.7336, 0.6939)
Os (0.9272, 0.5150, 0.4127)

Crystal system: triclinic
Space-group type: No. 1
ρ: 13.5 g cm⁻³
Energy above the most stable polymorph in this dataset: 0.148 eV per atom

# 2
DFT (PBE) results for La2Zn2SnPt5 after structural relaxation.

Unit cell a=10.0037 b=10.0037 c=3.8599 alpha=90.00 beta=90.00 gamma=90.00
Fractional positions:
La (0.1796, 0.3204, 0.0000)
La (0.3204, 0.8204, 0.0000)
La (0.6796, 0.1796, 0.0000)
La (0.8204, 0.6796, 0.0000)
Zn (0.1175, 0.6175, 0.0000)
Zn (0.3825, 0.1175, 0.0000)
Zn (0.6175, 0.8825, 0.0000)
Zn (0.8825, 0.3825, 0.0000)
Sn (0.0000, 0.0000, 0.0000)
Sn (0.5000, 0.5000, 0.0000)
Pt (0.0000, 0.5000, 0.5000)
Pt (0.0617, 0.7886, 0.5000)
Pt (0.2114, 0.0617, 0.5000)
Pt (0.2886, 0.5617, 0.5000)
Pt (0.4383, 0.2886, 0.5000)
Pt (0.5000, 0.0000, 0.5000)
Pt (0.5617, 0.7114, 0.5000)
Pt (0.7114, 0.4383, 0.5000)
Pt (0.7886, 0.9383, 0.5000)
Pt (0.9383, 0.2114, 0.5000)

Crystal system: tetragonal
Space-group type: No. 127
ρ: 12.9 g cm⁻³
Formation enthalpy at 0 K: -790.2 meV per atom

# 3
DFT (PBE) results for AcGdSn4 after structural relaxation.

Unit cell a=6.2978 b=6.2978 c=6.2978 alpha=60.00 beta=60.00 gamma=60.00
Fractional positions:
Ac (0.0000, 0.0000, 0.0000)
Gd (0.2500, 0.2500, 0.2500)
Sn (0.1273, 0.6242, 0.6242)
Sn (0.6242, 0.1273, 0.6242)
Sn (0.6242, 0.6242, 0.1273)
Sn (0.6242, 0.6242, 0.6242)

Crystal system: cubic
Space-group type: No. 216
ρ: 8.1 g cm⁻³
Formation enthalpy at 0 K: -371.9 meV per atom

We obtain volume values of 122.8 386.3 176.6 Å³ per cell for the records listed above, in that order.

• To do:
Could you repeat every line above that contains the word "in"?

• Reply:
Energy above the most stable polymorph in this dataset: 0.148 eV per atom
We obtain volume values of 122.8 386.3 176.6 Å³ per cell for the records listed above, in that order.